Woodson, Harrison announce formation of Sankofa Lacrosse Alliance
All Black Team to Play Brown, England in Fall Ball Classic
Providence, RI – October 1, 2013 -- The world’s greatest Black lacrosse players will come together under the banner of the Sankofa Lacrosse Alliance to promote academic, professional and social achievement for the next generation of lacrosse players.
More than 200 former and present-day African-American players and lacrosse enthusiasts of all ages – both men and women – have pledged support of the Alliance, a group that seeks to unite the African-American lacrosse community in order to grow the sport, and expand its reach by utilizing the collective resources of the lacrosse network.
“We have all been in the situation where we were the only black player on a team,” notes Alliance organizer Kyle Harrison. “It’s about celebrating how far the sport has come, and to show young Black players that there are other players that look just like them playing this sport at a very high level.”
The Alliance will debut the first tangible piece of the project on October 25. The Ambassadors – an unparalleled cast of African American professional and recent college players – will compete in fall ball scrimmages against Brown University and Team England in Providence, RI.
“We’ve each been approached about the idea of starting an all-Black team numerous times,” said co-organizer Chazz Woodson. “We decided that we were in a position to really bring it together the right way and with something bigger in mind.” Instead of focusing solely on competing, their plan is to equally emphasize what the players on that team can do to encourage academic, social, and professional achievement among young people.
Harrison and Woodson, formerly teammates on the Los Angeles and the LXM Pro Tour, will be joined by some of the brightest stars of lacrosse. Jovan Miller, John Christmas, Sam Bradman, and a host of former All-Americans, National Champions, and professionals will don Ambassador uniforms – donated by John Christmas’ Encore Brand - for the games against Brown and England.
The tentative schedule for the 3 way scrimmage is:
Sankofa v Team England, 2:00p
Sankofa v Brown, 3:00p
-- Next to the page, the page also holds crystal structures --
Cs2AgBiBr6 | PBE | optimized geometry

```
Cs2AgBiBr6
1.0
-4.0187 4.0187 5.7633
4.0187 -4.0187 5.7633
4.0187 4.0187 -5.7633
Cs Ag Bi Br
2 1 1 6
Cartesian
4.0187 0.0000 2.8816
0.0000 4.0187 2.8816
0.0000 0.0000 0.0000
0.0000 0.0000 5.7633
2.2355 1.7564 0.0000
0.0000 0.0000 2.8749
2.2623 -1.7832 5.7633
1.7564 5.8020 0.0000
0.0000 0.0000 8.6516
1.7832 2.2623 5.7633
```

Values from the calculation:
Its total energy is -2.99 eV per atom. Its space-group type is I4/m, No. 87.

=====

Sc2TcPd | PBE | optimized geometry

```
Sc2TcPd
1.0
0.0000 3.2636 3.2636
3.2636 0.0000 3.2636
3.2636 3.2636 0.0000
Sc Tc Pd
2 1 1
Cartesian
0.0000 0.0000 0.0000
1.6318 1.6318 1.6318
3.2636 3.2636 3.2636
4.8953 4.8953 4.8953
```

Values from the calculation:
The energy of formation is -92 meV/atom. For the distance to the lowest polymorph of the same formula, the calculation gives 493 meV per atom. The total moment comes out at 0.43 μB/f.u. Its space-group type is F-43m, No. 216.


(1)
! In2CuPd9 GGA-PBE optimized geometry; values from VASP
&SYSTEM
  ibrav = 0, nat = 12, ntyp = 3
/
ATOMIC_SPECIES
In 114.82 In.upf
Cu 63.55 Cu.upf
Pd 106.42 Pd.upf
ATOMIC_POSITIONS angstrom
In 0.0000 0.0000 2.0375
In 0.0000 0.0000 9.8024
Cu 0.0000 0.0000 5.9199
Pd 0.0000 2.0088 0.0000
Pd 0.0000 2.0088 4.0636
Pd 0.0000 2.0088 7.7763
Pd 2.0088 0.0000 0.0000
Pd 2.0088 0.0000 4.0636
Pd 2.0088 0.0000 7.7763
Pd 2.0088 2.0088 2.0384
Pd 2.0088 2.0088 5.9199
Pd 2.0088 2.0088 9.8015
CELL_PARAMETERS angstrom
4.0176 0.0000 0.0000
0.0000 4.0176 0.0000
0.0000 0.0000 11.8399
! Symmetry: P4/mmm (123)
! E_tot (eV/atom): -4.9850
! Energy of formation from the pure elements (meV per atom): -292.6

(2)
! In3CuPd GGA-PBE optimized geometry; values from VASP
&SYSTEM
  ibrav = 0, nat = 5, ntyp = 3
/
ATOMIC_SPECIES
In 114.82 In.upf
Cu 63.55 Cu.upf
Pd 106.42 Pd.upf
ATOMIC_POSITIONS angstrom
In 0.0000 0.0000 2.5829
In 0.0000 2.5829 0.0000
In 2.5829 0.0000 0.0000
Cu 2.5829 2.5829 2.5829
Pd 0.0000 0.0000 0.0000
CELL_PARAMETERS angstrom
5.1657 0.0000 0.0000
0.0000 5.1657 0.0000
0.0000 0.0000 5.1657
! Symmetry: Pm-3m (221)
! E_tot (eV/atom): -3.2858
! Energy of formation from the pure elements (meV per atom): 215.1
! E above lowest polymorph (meV/atom): 0.0

(3)
! In2Cu3Pd8 GGA-PBE optimized geometry; values from VASP
&SYSTEM
  ibrav = 0, nat = 13, ntyp = 3
/
ATOMIC_SPECIES
In 114.82 In.upf
Cu 63.55 Cu.upf
Pd 106.42 Pd.upf
ATOMIC_POSITIONS angstrom
In 2.0199 0.0000 1.1986
In 10.6316 0.0000 3.4356
Cu 6.4957 1.2391 0.0000
Cu 6.3257 0.0000 2.3171
Cu 6.4957 -1.2391 0.0000
Pd 0.3656 0.0000 3.5104
Pd 4.2401 1.4568 1.4553
Pd 3.8997 0.0000 3.7433
Pd 8.4114 1.4568 3.1789
Pd 4.2401 -1.4568 1.4553
Pd 8.7518 0.0000 0.8909
Pd 8.4114 -1.4568 3.1789
Pd 12.2859 0.0000 1.1237
CELL_PARAMETERS angstrom
6.4957 -3.5511 0.0000
6.4957 3.5511 0.0000
-0.3398 0.0000 4.6342
! Symmetry: C2/m (12)
! E_tot (eV/atom): -4.6770
! Energy of formation from the pure elements (meV per atom): -114.8

(4)
Brown v Team England, 4:00p
The scrimmages will be held on Meister-Kavan field at Brown University.
“This project has been in the works for at least 3 years now,” notes Harrison. “We have had a number of different ideas and visions for where we want this to go, so I’m proud to see it finally come together.” The Sankofa concept is derived from King Adinkera of the Akan people of West Africa. Literally translated it means “it is not taboo to go back and fetch what you forgot.” As Woodson explains it, networking, outreach, and exposure are the three major objectives of the SLA. “Since the beginning, the consistent focus has been to connect the African American lacrosse community geographically and generationally, and to utilize the collective experiences and resources of that network to promote academic, professional, and social achievement among all populations.”
For further information regarding the development of the Sankofa Lacrosse Alliance, and the Ambassadors team, please follow them on Facebook facebook.com/SankofaLax and Twitter @SankofaLax.